Sunday, March 21, 2010

Playing Catch-up!

Oh wow! It's been a while since I wrote in here, but I have been wanting to get more regular with Brandon & my journal entries and my friend Sarah gave me this great idea. If I write in this blog regularly and include me & Brandon and pics and then in a while I can just print it off and it will be easier for me and at the same time I'll be doing my journals! So first off, I'll start with me, I just recently started going back to school online, and so far it's going great! I finished my first class, each class lasts a month, and I got an A in the class! Yeah! So that was encouraging and I've started my second class and so far I have an A in that class but its only the first week so I have a bit of work ahead of me. I have fun doing my achievement day activities, the girls are great and I think we all have fun getting together. The last one my mom came up and taught all of us how to plant a garden and so that was really awesome! I'm kinda worried that Hope (our puppy) isn't pregnant because she was in heat just barely and she escaped and was running around for about 2 hrs so I'm hoping that even if she was with a male dog that she isn't prego. Okay so that was some catch-up about me, now to catch-up for Brandon. He is now over 3 ft tall! He is growing so fast and he really needs some new clothes but it's almost time for spring and summer clothes so I don't wanna go shopping yet! So for a few weeks he gets to wear pants that are a little too short for him. He is getting more and more proficient at the alphabet, he loves to point out letters! The only letter he has trouble with is W, he still thinks its an M. But all the rest he has no trouble with. I'm slowly introducing lower case letters and he has picked up on a few of them. He is also becoming more familiar with numbers. He obviously doesn't know what they are for but he can count to 3 and he knows them on paper. 2 is his favorite number although for me to tell him that he is 2 years old he gets a little upset cause he doesn't know what the heck I'm talking about :) Just this past friday he started counting to 3 and he did it without any prompting from mom or dad. He has this game where he has mom or dad count to 3 and say GO and he runs through the house, well he has been saying GO for a while now but has never counted and I've never even encouraged him to try, and just out of the blue I hear him count to 3, say GO and then run through the house! And he did this several times and he has done it the days following! YEAH!! I have such a smart boy! His vocabulary has been bursting out lately as well. He adds words to the ones he can say everyday and will now try to say words when I encourage it. Dad has taught him how to say the word "V-TEC" which he is super proud of. He is also starting to like to socialize with other kids his age. And he likes to actually play WITH them not just beside them. Okay so I think that's all for this week but I will post next week and I'll have pics from the week!


+++
Diffraction record for AcZnAu2. The powder XRD pattern is simulated, not measured: it uses DFT lattice parameters and positions (GGA-PBE) and Cu Kα (λ = 1.5418 Å).

Crystal structure
Cell lengths 7.3186, 7.3186, 7.3186 Å; angles 90.00, 90.00, 90.00 degrees
Atoms (fractional coordinates):
Ac1 0.0000 0.0000 0.0000
Ac2 0.0000 0.5000 0.5000
Ac3 0.5000 0.0000 0.5000
Ac4 0.5000 0.5000 0.0000
Zn1 0.0000 0.0000 0.5000
Zn2 0.0000 0.5000 0.0000
Zn3 0.5000 0.0000 0.0000
Zn4 0.5000 0.5000 0.5000
Au1 0.2500 0.2500 0.2500
Au2 0.2500 0.2500 0.7500
Au3 0.2500 0.7500 0.2500
Au4 0.2500 0.7500 0.7500
Au5 0.7500 0.2500 0.2500
Au6 0.7500 0.2500 0.7500
Au7 0.7500 0.7500 0.2500
Au8 0.7500 0.7500 0.7500

The 10 most intense peaks (15° ≤ 2θ ≤ 90°), by intensity:
h k l, 2theta, d [Å], I (rel.)
2 2 0, 34.7, 2.588, 100.0
4 2 2, 62.1, 1.494, 37.7
4 0 0, 49.8, 1.830, 18.2
6 2 0, 83.6, 1.157, 16.9
4 4 0, 73.2, 1.294, 11.7
1 1 1, 21.0, 4.225, 10.5
3 1 1, 40.9, 2.207, 6.0
2 0 0, 24.3, 3.659, 2.7
3 3 1, 54.7, 1.679, 2.7
5 3 1, 77.1, 1.237, 2.1
+++
hey allie, those are some good pictures!
keep up the good work